You’re too distracted. Here’s why that matters and what to do about it
Better screen time, sleep, diet and exercise habits can help you can take back your focus
By Alison Pearce Stevens

I have a confession. Every time I sat down to work on this article, I got distracted.
The dogs wanted attention, so I petted them. My phone would ding when a text came in, so I got up to check. I was tired, so I took a nap. And I might have gotten sucked into some extended time scrolling through Instagram. It was remarkably difficult to focus on writing about distractions because, well, I was too busy being distracted.
Distraction is a tricky thing. Often, we don’t feel like we’re distracted. In fact, we think we’re paying attention, often to multiple things at once.
But science has shown that we aren’t truly capable of multitasking. Our brains evolved to stay focused on one or two things at a time. When we multitask, our brains actually quickly switch from one task to another. It feels seamless. But it’s not. It comes with major consequences for our ability to pay attention and think deeply about things.
I’m hardly alone in being easily distracted. People generally have become more distracted than ever before. But don’t despair! There are steps we all can take to reduce distractions and boost focus. These include changes in screen time, sleep, diet and exercise. Making a few changes can make you a safer driver. They also can make you a more attentive friend — and even help you do better in school.
Set new screen habits
For many of us, phones are one of the biggest distractors in our lives — and that’s no accident. Our phones have trained us to be on constant alert, says Gloria Mark. She studies digital distraction at the University of California, Irvine. “We pick up our phones when we see them,” she says. Try it sometime: Walk by your phone without checking it. How hard is it to leave the phone untouched?
That pull to constantly check for notifications isn’t accidental. The people who create social media software use algorithms to figure out when to send those little reminders.
“Notifications can distract us because they use information to elicit emotional responses,” Mark explains. “We can’t help but respond when an ad or notification brings out an emotion in us, like surprise or fear.” That’s why it’s so hard to resist checking for new content.
A recent survey found that adults check their phones about 58 times a day. Many of those checks are for just a few seconds. Still, they add up in a big way. That’s because it takes time for our brains to return to what we were doing before the interruption. That delay can have a real impact on how well we focus on the next task.
For people old enough to drive, such distractions are downright dangerous. One in three teens admits to using their phone while driving. Eyes that are on a phone aren’t looking at the road. And this slows reaction times. In fact, texting teen drivers are 23 times as likely to crash as their non-messaging peers. That’s according to the U.S. National Highway Traffic Safety Administration.

**Here the entry breaks off for quantum chemistry results:**
Molecular formula: H30O15
Method: DFT, the ωB97M-V functional and the def2-TZVPD basis

```
45
Properties=species:S:1:pos:R:3:lowdin_charge:R:1
H -0.93995 1.01376 0.81995 0.047
H 0.23671 0.59104 -0.07910 0.029
H 4.32945 0.61416 -0.06988 -0.009
H 4.95088 2.11331 0.29975 0.107
H 2.18264 1.11418 2.31326 -0.013
H 2.13154 2.30060 3.17545 0.008
H -3.48162 -0.61381 -2.38125 0.076
H -4.17066 0.33719 -1.45114 0.003
H 4.34737 0.07886 -2.01016 0.111
H 3.86227 -0.86293 -0.92965 -0.013
H -3.65775 -0.93465 0.70467 -0.054
H -4.90395 -0.51871 1.32773 0.066
H -3.88015 3.15149 -1.26251 0.038
H -5.19228 3.65895 -0.84775 0.032
H -2.01313 -2.99443 1.50006 0.071
H -1.45382 -4.34980 1.13146 0.027
H 1.23535 -2.04072 -0.34638 0.037
H 1.30578 -2.20850 -1.85891 -0.080
H -2.21993 -2.69227 -1.07663 -0.006
H -1.81029 -1.82913 -2.37489 0.086
H 2.17443 -0.46018 1.67285 0.026
H 3.31627 -1.44190 1.54855 0.033
H 1.34794 2.46316 -4.17045 0.031
H -0.22136 2.15155 -3.75752 0.060
H -0.07941 -1.20439 3.33699 0.018
H -0.41775 -2.24594 4.32654 0.085
H 2.66778 -0.85880 -2.02652 0.109
H 3.80367 -1.92895 -2.33097 0.057
H -1.87972 5.43667 2.11292 0.059
H -1.38593 3.90937 2.18929 0.017
O -0.43336 0.23513 0.51453 -0.055
O 4.68628 1.43109 -0.42308 -0.113
O 2.66233 1.91755 2.52395 -0.018
O -4.22914 -0.60752 -1.65955 -0.109
O 4.66379 -0.58395 -1.32245 -0.099
O -4.45964 -1.28773 0.90117 -0.027
O -4.71297 2.83324 -0.88545 -0.051
O -1.25018 -3.63500 1.73848 -0.110
O 0.74492 -2.16248 -1.16903 -0.020
O -2.45517 -2.52530 -1.96969 -0.080
O 2.80860 -0.98875 2.21785 -0.034
O 0.61668 2.66025 -3.57216 -0.090
O -0.60232 -2.02087 3.35529 -0.098
O 2.90398 -1.84199 -2.05871 -0.079
O -1.12815 4.82713 2.32311 -0.077
```

Summary:
Orbital gap, Eh: 0.349
Energy relative to the best compared isomer or geometry (same formula, charge and spin), eV: 7.200
LUMO energy, eV: -0.74
Molecular weight, g mol⁻¹: 270.22

***

Molecular formula: H30O15
Method: DFT, the ωB97M-V functional and the def2-TZVPD basis

```
45
Properties=species:S:1:pos:R:3:lowdin_charge:R:1
O -1.41691 2.55937 2.14644 -0.045
H -1.17535 3.32228 2.93103 0.218
H -0.96212 2.83630 1.40467 -0.013
O 1.10202 -1.57952 -0.83428 -0.080
H 1.15907 -2.51603 -0.18904 0.202
H 0.91647 -0.91208 -0.29459 -0.121
O 1.27335 1.17764 -0.67314 -0.068
H 1.84387 1.90176 -0.35650 0.029
H 0.70128 0.75785 -0.00925 -0.013
O 2.29654 -0.28965 0.97611 -0.150
H 1.36155 -0.55931 1.19199 0.039
H 2.72097 -0.53720 1.84621 0.106
O 2.65067 -3.33346 -2.42997 -0.087
H 2.86570 -2.56653 -2.87018 -0.036
H 3.32879 -3.14767 -1.64163 0.092
O -0.30499 0.44965 1.59753 -0.127
H -0.71913 1.30666 1.97016 -0.017
H -0.93885 -0.34237 1.52314 0.074
O -4.37591 -0.45309 0.53524 -0.074
H -4.94480 0.11800 -0.06228 0.097
H -3.99042 0.06426 1.28375 0.087
O -3.75963 -0.44564 -2.18979 -0.085
H -4.21944 -1.21373 -2.40127 0.005
H -2.84348 -0.80406 -2.48928 0.013
O 3.24180 3.50134 0.88498 -0.121
H 2.32695 3.59638 0.59435 0.004
H 3.17756 3.21757 1.87958 0.051
O -2.34501 -1.59576 -0.33992 -0.022

But it’s not just when you’re behind the wheel that phone distractions can have serious impacts.
“Social media can be super fun,” says Teun Siebers. He studies social media and teen behavior at the University of Amsterdam in the Netherlands. Checking your social media can “also make it tricky to focus on important stuff like schoolwork,” he notes.
Imagine you’re super focused on a project with a great idea for what to do next. Then your friend sends you a funny video. When you get back to the assignment, you’ve lost track of what you were doing. “It takes a while to get back into the work,” Siebers says. “And you might forget some of your good ideas.”
In one 2022 study of 383 seventh and eighth graders, Siebers found a strong link between social media use and how distracted people felt. Teens in the study installed an app on their phones. Several times a day, the app prompted them to answer questions. These focused on social media use and distraction during the previous hour. Teens who reported spending more time on social media said they generally were more distracted.
What’s more, teens reported feeling less distracted at times of day when they were not using social media. As they spent more time on their phones, their distraction climbed. That was true for a whopping 83 percent of participants.
Curiously, teens who used social media the most said they felt less distracted. It’s probably not that they were less distracted. More likely, they didn’t recognize distractions for what they are, Siebers says. “They might not even realize that messages from social media are distractions because they’re using it so much.”
Curiously, teens who used social media the most said they felt less distracted. It’s probably not that they were less distracted. More likely, they didn’t recognize distractions for what they are, Siebers says. “They might not even realize that messages from social media are distractions because they’re using it so much.”
Need help overcoming the temptations of social media? Turn off notifications, Siebers says — or just turn off your phone. Is the off button too much? Put your phone in a different room while you work, or put it in the glove box while driving. “If you’re spending too much time on, say, TikTok or YouTube, you can delete the app from your phone,” he adds, “and only use it on the computer.”
One last suggestion: Get rid of the mindset that you have to be available around the clock. Let your friends know you’re not always able to respond right away. That will make it easier to limit how often you check in.
Personal devices can affect our attention in indirect ways, too. For instance, they can make it harder to fall asleep. Smartphone and computer screens emit blue light, which prevents the brain from releasing melatonin. That’s a hormone that makes us sleepy. And lack of sleep makes us more easily distracted.
Get up and move
Personal devices can affect our attention in indirect ways, too. For instance, they can make it harder to fall asleep. Smartphone and computer screens emit blue light, which prevents the brain from releasing melatonin. That’s a hormone that makes us sleepy. And lack of sleep makes us more easily distracted.
When we sleep at night, the fluid that surrounds the brain and spinal cord washes over these organs. It removes chemical wastes that built up in them during the day. We also go through different stages of sleep. These stages allow our brains to make sense of information we encountered the previous day. We need both the cleaning and the full set of sleep cycles to function fully the next day.
For teens, that usually means about nine hours of sleep (though few get that much). Not getting enough leaves us cranky and groggy, which can make it hard to pay attention.
Not getting enough sleep at night makes it harder for our brains to function the next day.SHIRONOSOV/ISTOCK/GETTY IMAGES PLUS
One obvious solution is to put screens away earlier and get more sleep. Another is to increase the amount of exercise we get. Exercise improves the quality of our sleep and it’s good for our bodies. But “being physically active, even for a short time, is also good for the mind,” says Peter Gröpel. He is a sport psychologist at the University of Vienna in Austria.
For teens, that usually means about nine hours of sleep (though few get that much). Not getting enough leaves us cranky and groggy, which can make it hard to pay attention.

One obvious solution is to put screens away earlier and get more sleep. Another is to increase the amount of exercise we get. Exercise improves the quality of our sleep and it’s good for our bodies. But “being physically active, even for a short time, is also good for the mind,” says Peter Gröpel. He is a sport psychologist at the University of Vienna in Austria.
He and Wolfgang Altermann set out to see if certain types of exercise were better at boosting attention. They worked with 80 high school students, ages 15 to 18. Each was randomly assigned to one of four groups. One group did endurance exercises. Another did strength training. A third group did exercises that required coordination, like walking on a balance beam. The last group read a book instead of doing exercise.
Before their session, each student completed an attention test, which involved searching for specific patterns on papers full of letters. They then spent 25 minutes doing their assigned activities. At the end of the session, everyone repeated the attention test. The reading group did no better on the second test. But all three exercise groups improved. It didn’t matter which exercise they did, their improvement was the same.
All kinds of exercise boost attention, including movements that may not feel like exercise, such as various forms of play.FLUXFACTORY/ E+/GETTY IMAGES PLUS
Exercise “brings more oxygen into the brain,” Gröpel says. This is helpful for thinking clearly. In the long run, keeping your body active also “helps to develop the brain structures necessary for paying attention.” A single session of exercise can improve our ability to focus. Longer exercise programs provide even more powerful effects.

Exercise “brings more oxygen into the brain,” Gröpel says. This is helpful for thinking clearly. In the long run, keeping your body active also “helps to develop the brain structures necessary for paying attention.” A single session of exercise can improve our ability to focus. Longer exercise programs provide even more powerful effects.
One 2020 study found that three months of regular exercise improved teens’ abilities to navigate a maze and to separate patterns. The teens also showed better impulse control — measured by their ability to correctly read the name of a color when it was written in a different color.
Bottom line: “Regular exercise is highly beneficial for cognitive [brain] development,” Gröpel says. And that helps us stay focused longer.
You might not think it matters, but what you eat plays a big role in brain function. That’s why eating a balanced diet can boost focus.
The food connection
You might not think it matters, but what you eat plays a big role in brain function. That’s why eating a balanced diet can boost focus.
A good diet contains plenty of fiber and protein, with limited sugars and fats. Carbohydrates — sugars and starches (such as whole grains) — are an important part of our diet. They’re especially important for our brains, which run on the sugar glucose. A steady supply of glucose helps the brain stay on task.
But many people — especially kids and teens — eat too many refined carbs. These include the sugars found in soft drinks, candy, cookies and other desserts. It also includes the refined flour used in many baked goods. Chowing down on refined carbs gives the brain a sudden flood of energy. Once it’s been used up, we tend to crash, making it hard to focus.

But it’s not just sugar that causes problems with attention. Some food dyes can, too. Food dyes give candies and fruit drinks their bright colors. They’re found in other types of foods as well, notes Mark Miller. He’s a pediatrician at California’s Office of Environmental Health Hazard Assessment in Oakland. Miller and the toxicologists he works with study substances to determine if they are harmful to people or the environment.
In 2022, Miller was part of a team that reviewed past research on whether food dyes could impact kids’ behavior. The researchers found strong evidence that synthetic, or human-made, food dyes can cause attention issues in kids. These were not dyes derived from plants. After consuming synthetic dyes, some kids had a harder time staying focused.
Not all the kids did, though. “You’re likely to be more sensitive to the effect of the food dyes if you have this certain underlying genetic risk factor,” Miller says. That risk factor is a form of a gene that alters the effect of histamine (HIS-tuh-meen) — one of the chemicals that brain cells use to “talk” to each other.
Some synthetic food dyes increase brain cells’ release of histamine. For some people, that’s okay. After these chemicals have sent their messages to a new neuron in the brain, an enzyme breaks them down. But in people with a specific form of one gene, the enzyme that breaks down histamine works too slowly. That lets the chemical stick around too long. This signals its message over and over again. The result can be hyperactivity and high levels of distraction.
Not all the kids did, though. “You’re likely to be more sensitive to the effect of the food dyes if you have this certain underlying genetic risk factor,” Miller says. That risk factor is a form of a gene that alters the effect of histamine (HIS-tuh-meen) — one of the chemicals that brain cells use to “talk” to each other.
Some synthetic food dyes increase brain cells’ release of histamine. For some people, that’s okay. After these chemicals have sent their messages to a new neuron in the brain, an enzyme breaks them down. But in people with a specific form of one gene, the enzyme that breaks down histamine works too slowly. That lets the chemical stick around too long. This signals its message over and over again. The result can be hyperactivity and high levels of distraction.
Food dyes that make us more distracted also make it harder to learn. So avoiding these dyes can go a long way toward improving focus — at least in sensitive people.
Bright foods often get their colors from synthetic food dyes — some of which can cause problems with attention.TAMAR DUNDUA/ISTOCK/GETTY IMAGES PLUS
Miller’s research was part of what the state of California used last October to justify a new ban on red dye #3. (It will go into effect in January 2027.) The U.S. Food and Drug Administration is considering a ban as well. There’s some evidence that other dyes, including red #40 and yellow #5, may cause similar problems. But clearly, it will be years before all troublesome food dyes are removed from grocery store shelves.

Miller’s research was part of what the state of California used last October to justify a new ban on red dye #3. (It will go into effect in January 2027.) The U.S. Food and Drug Administration is considering a ban as well. There’s some evidence that other dyes, including red #40 and yellow #5, may cause similar problems. But clearly, it will be years before all troublesome food dyes are removed from grocery store shelves.
Until then, you can help protect your ability to focus by checking ingredient lists on food packaging. Food dyes are usually listed at the end with a color and number. You’re likely to find them in brightly colored foods, including cookies, candy, drinks — even yogurt.
If you have trouble with distraction, consider limiting your intake of foods that contain those problem dyes. And replace sugary foods with more complex carbohydrates, such as whole grains or fruit.
This combination should power your brain for longer, allowing you to keep your focus throughout the day. Add in some changes in phone use, sleep and a bit of exercise, and you’ve got yourself a recipe to reduce the distractions in your life.
Legislation: California Assembly Bill 418: The California Food Safety Act. Passed into law October 7, 2023.
Journal: W. Altermann and P. Gröpel. Effects of acute endurance, strength, and coordination exercise interventions on attention in adolescents: A randomized control trial. Psychology of Sport & Exercise. Vol. 64. January 2023, p. 102300. doi: 10.1016/j.psychsport.2022.102300.
Journal: M. Strauss et al. Order matters: sleep spindles contribute to memory consolidation only when followed by rapid-eye-movement sleep. Sleep. Vol. 45. April 2022. doi: 10.1093/sleep/zsac022.
Journal: T. Siebers et al. Social media and distraction: An experience sampling study among adolescents. Media Psychology. Vol. 25. Issue #3 for 2022, p. 343. doi: 10.1080/15213269.2021.1959350.
Journal: M.D. Miller et al. Potential impacts of synthetic food dyes on activity and attention in children: a review of the human and animal evidence. Environmental Health. Vol. 21. April 29, 2022, p. 45. doi: 10.1186/s12940-022-00849-9.
Journal: L.D. Lewis. The interconnected causes and consequences of sleep in the brain. Science. Vol. 375. October 29, 2021, p. 564. doi: 10.1126/science.abi8375.
Journal: T. Ben-Zeev et al. The effects of high-intensity function training (HIFT) on spatial learning, visual pattern separation and attention span in adolescents. Frontiers in Behavioral Neuroscience. Vol. 14, September 14, 2020, p. 577390. doi: 10.3389/fnbeh.2020.577390.
Legislation: California Assembly Bill 418: The California Food Safety Act. Passed into law October 7, 2023.
Journal: W. Altermann and P. Gröpel. Effects of acute endurance, strength, and coordination exercise interventions on attention in adolescents: A randomized control trial. Psychology of Sport & Exercise. Vol. 64. January 2023, p. 102300. doi: 10.1016/j.psychsport.2022.102300.
Journal: M. Strauss et al. Order matters: sleep spindles contribute to memory consolidation only when followed by rapid-eye-movement sleep. Sleep. Vol. 45. April 2022. doi: 10.1093/sleep/zsac022.
Journal: T. Siebers et al. Social media and distraction: An experience sampling study among adolescents. Media Psychology. Vol. 25. Issue #3 for 2022, p. 343. doi: 10.1080/15213269.2021.1959350.
Journal: M.D. Miller et al. Potential impacts of synthetic food dyes on activity and attention in children: a review of the human and animal evidence. Environmental Health. Vol. 21. April 29, 2022, p. 45. doi: 10.1186/s12940-022-00849-9.
Journal: L.D. Lewis. The interconnected causes and consequences of sleep in the brain. Science. Vol. 375. October 29, 2021, p. 564. doi: 10.1126/science.abi8375.
Journal: T. Ben-Zeev et al. The effects of high-intensity function training (HIFT) on spatial learning, visual pattern separation and attention span in adolescents. Frontiers in Behavioral Neuroscience. Vol. 14, September 14, 2020, p. 577390. doi: 10.3389/fnbeh.2020.577390.
About Alison Pearce Stevens
Alison Pearce Stevens is a former biologist and forever science geek who writes about science and nature for kids. She lives with her husband, their two kids and a small menagerie of cuddly (and not-so cuddly) critters.
Alison Pearce Stevens is a former biologist and forever science geek who writes about science and nature for kids. She lives with her husband, their two kids and a small menagerie of cuddly (and not-so cuddly) critters.